Smart Classroom Technology Support

Computer Services uses the term “smart classroom” to describe most of the classrooms on all GCC campuses that are equipped with technology like computers, projectors, interactive or static displays.


Computer Services periodically hosts a Classroom Technology Users Group session on the Batavia campus, open to all staff and faculty.  Watch for event announcements via email and campus announcements in Genesis.  This is an informal forum in which to highlight technical and pedagogical uses of various classroom technologies, ask questions, share ideas, and provide feedback about current and future classroom technologies.

If you need assistance with or have questions about classroom technology equipment, please email and a Computer Services staff member will reach out you.

Short-Term Use of a T20x Computer Lab

Do you need the ability to share content with your students on the large screen in front of the room as well as at individual student computer stations?  Do you need your class to complete an online test, assignment, or project?

The computer labs located on the second floor of the T building (T204, T205, T206) may very well meet your need.

To check availability and to reserve a room not related to a semester long class Use Outlook calendar and search for Location of T204 T205 T206  Schedule your room in an open spot. It will then be submitted to the HelpDesk for Approval.  You will receive an email with approval status in 24hrs.

### Materials data that have nothing to do with the entry
No. 1
A plane-wave DFT calculation with PBE was carried out for a relaxed Cs2HgAuF6 crystal.

Lattice parameters (Å, degrees): 6.543 6.543 6.543 60.00 60.00 60.00
Fractional coordinates of all 10 atoms:
Cs1 0.750 0.750 0.750
Cs2 0.250 0.250 0.250
Hg1 0.500 0.500 0.500
Au1 0.000 0.000 0.000
F1 0.753 0.247 0.247
F2 0.247 0.247 0.753
F3 0.247 0.753 0.753
F4 0.247 0.753 0.247
F5 0.753 0.247 0.753
F6 0.753 0.753 0.247

No. 2
A plane-wave DFT calculation with PBE was carried out for a relaxed Cs2InAuF6 crystal.

Lattice parameters (Å, degrees): 6.578 6.578 6.578 60.00 60.00 60.00
Fractional coordinates of all 10 atoms:
Cs1 0.750 0.750 0.750
Cs2 0.250 0.250 0.250
In1 0.000 0.000 0.000
Au1 0.500 0.500 0.500
F1 0.772 0.228 0.228
F2 0.228 0.228 0.772
F3 0.228 0.772 0.772
F4 0.228 0.772 0.228
F5 0.772 0.228 0.772
F6 0.772 0.772 0.228

No. 3
A plane-wave DFT calculation with PBE was carried out for a relaxed CsK2AuF6 crystal.

Lattice parameters (Å, degrees): 6.888 6.888 6.888 60.00 60.00 60.00
Fractional coordinates of all 10 atoms:
Cs1 0.500 0.500 0.500
K1 0.750 0.750 0.750
K2 0.250 0.250 0.250
Au1 0.000 0.000 0.000
F1 0.779 0.221 0.221
F2 0.221 0.221 0.779
F3 0.221 0.779 0.779
F4 0.221 0.779 0.221
F5 0.779 0.221 0.779
F6 0.779 0.779 0.221

No. 4
A plane-wave DFT calculation with PBE was carried out for a relaxed Cs2LiAuF6 crystal.

Lattice parameters (Å, degrees): 6.254 6.254 6.254 60.00 60.00 60.00
Fractional coordinates of all 10 atoms:
Cs1 0.750 0.750 0.750
Cs2 0.250 0.250 0.250
Li1 0.500 0.500 0.500
Au1 0.000 0.000 0.000
F1 0.753 0.247 0.247
F2 0.247 0.247 0.753
F3 0.247 0.753 0.753
F4 0.247 0.753 0.247
F5 0.753 0.247 0.753
F6 0.753 0.753 0.247

No. 5
A plane-wave DFT calculation with PBE was carried out for a relaxed Cs2NbAuF6 crystal.

Lattice parameters (Å, degrees): 7.112 7.112 7.112 60.00 60.00 60.00
Fractional coordinates of all 10 atoms:
Cs1 0.750 0.750 0.750
Cs2 0.250 0.250 0.250
Nb1 0.000 0.000 0.000
Au1 0.500 0.500 0.500
F1 0.807 0.193 0.193
F2 0.193 0.193 0.807
F3 0.193 0.807 0.807
F4 0.193 0.807 0.193
F5 0.807 0.193 0.807
F6 0.807 0.807 0.193

No. 6
A plane-wave DFT calculation with PBE was carried out for a relaxed Cs2RhAuF6 crystal.

Lattice parameters (Å, degrees): 6.396 6.396 6.396 60.00 60.00 60.00
Fractional coordinates of all 10 atoms:
Cs1 0.750 0.750 0.750
Cs2 0.250 0.250 0.250
Rh1 0.000 0.000 0.000
Au1 0.500 0.500 0.500
F1 0.773 0.227 0.227
F2 0.227 0.227 0.773
F3 0.227 0.773 0.773
F4 0.227 0.773 0.227
F5 0.773 0.227 0.773
F6 0.773 0.773 0.227

No. 7
A plane-wave DFT calculation with PBE was carried out for a relaxed Cs2SbAuF6 crystal.

Lattice parameters (Å, degrees): 6.722 6.722 6.722 60.00 60.00 60.00
Fractional coordinates of all 10 atoms:
Cs1 0.750 0.750 0.750
Cs2 0.250 0.250 0.250
Sb1 0.000 0.000 0.000
Au1 0.500 0.500 0.500
F1 0.769 0.231 0.231
F2 0.231 0.231 0.769
F3 0.231 0.769 0.769
F4 0.231 0.769 0.231
F5 0.769 0.231 0.769
F6 0.769 0.769 0.231

No. 8

Full semester use of a computer lab should be arranged through your department. Work with the dean’s Assistant to officially re-schedule your class meeting location.

Computer Labs – Batavia

The largest concentration of computer labs in Batavia is located in the Conable Technology Building. In that building, there are five dedicated classrooms for instruction (T204, T205, T206) and a Computer Learning Lab (T207) open to all currently registered students to use a computer on a drop-in basis.

Open Computer Lab

The Computer Learning Lab is staffed by student workers when it is open who are available to assist you with basic computer questions. They cannot help you directly with homework assignments but can help you find the software or electronic information you may need to complete an assignments. More extended help and tutoring is available in the Assisted Learning Lab (D209) which is part of the Center for Academic Progress.

The Conable Technology building computer labs have, in addition to computers, scanners and printers. There is access to color printing on a limited basis in T207 for students creating materials for class use.


In addition to the computer labs in the Conable Technology Building, there are a small handful of labs that support specific programs:

  • Language Lab (A312) is dedicated to supporting foreign language, reading and ESL classes
  • CSN Lab (D203) is dedicated to the support of the various Computer and Technology degree programs
  • CAD lab (E125) is dedicated to the Drafting and Engineering program
  • Apple Lab (E122) is dedicated to the Communications and Digital Arts program
  • Assisted Learning Lab (ALL – D209) is dedicated to tutoring and academic support
  • Math Lab (D210) is dedicated to math programs and learning assistance
  • Library Computer Lab which is used by Library staff when training students in using Library bibliographic resources
  • BEST Center Lab (T104) is used by the BEST Center to offer training programs to outside organizations and provide workforce development opportunities

There are student computers in smaller labs, for example the Math Tutoring Lab, the Writing Lab, Library to allow students to complete work.

In addition, there are locations in the library and T207 for students to use personal laptops. Students using the library must bring a flash drive and print from one of the main library computers. T207 provides wireless printing resources.

Computer Labs

Genesee Community College has a major commitment to making computer labs available to support instruction. Classes in a number of disciplines use the computer labs for instruction and almost all faculty expect that students will use a computer in some way to complete assignments or simply keep in contact.

Every Genesee location has at least two computer labs for these purposes.

Apple Computers

Genesee uses primarily Windows based computers. There is a lab of Apple Macs on the Batavia campus that supports the Digital Arts and Communication degree programs; students in those programs will be expected to work in the Mac lab on assignments.

You are more than welcome to use a Mac laptop on a campus wireless connection for your own personal use but do be aware that the majority of faculty will be using Windows as their base system.


Laser printers are available in all student labs to allow you to print documents to hand in to instructors and for your own use. There is no separate printing fee, that is included in the Technology Fee paid every semester.

The Computer Learning Lab (T207) on the Batavia campus has a color printer to allow students to print a final copy of a project that is to be handed in to an instructor. We have a limit to many pages you may print on the color printer. You may only print 10 pages on the color printer a day, per person.

The Laptop Zone found inside T207 also allows for wireless printing from personal laptops. Instructions on how to connect to the printer are on location in the room.

Saving your Work

All campus computers have readily accessible USB ports for you to use a flash drive. We recommend that you purchase multiple, smaller flash drives rather than one large flash drive, in case you are in a class (often a CIS class) where the instructor requires you to turn in your work on a flash drive.

Make sure that you put your name on the flash drive so that when you lose it, you can easily identify it. Additionally, create a file on the drive named “_Owner Information” — the underscore will sort the file to the top of the list — with your name and email address so that you can be contacted if your flash drive is found.

Additionally, you can email files to yourself using your Genesee email or any other Cloud based system you may have access to.